The Institute of Software Practitioners of Nigeria (ISPON) is worried that strategic agencies managing the country’s data and other infrastructures that make up its national intelligence resources are being managed by foreign IT companies. ISPON’s President, Olorogun James Emadoye, tells IT Edge News, Oluwatobi Opusunju, that local content policy should entrench the principle of ensuring strategic interest projects are largely managed by local software companies, except of course, where such local knowledge are lacking. ISPON plans to change the narrative on software import and to make the country less depended on foreign solutions. It’s the country that will best benefit with lesser pressure on its FOREX portfolio and a thriving local software industry that would create more jobs and expand business opportunities. Emadoye shares with IT Edge News in Lagos.
ISPON as a body provides advocacy to develop an enabling environment for its members. With the rise in capital flight of IT services, in what ways have you been able to achieve this objective?
ISPON is an advocacy group intended to change the narratives of Nigerians from over dependency on imported goods especially as it affects software technology. Because, if you look at technology today, you will notice that it’s driven totally by software and software is something that’s produced through intelligence. The raw material you need to produce software is 80% available with us, so at ISPON, we believe that with a population of over 170 million and the youth being majority of the segment of this population, we should be able to take charge of our software needs and in fact, become a major hub for software worldwide.
But, software is a very technical thing that requires you to perfect and the only way to perfect software is by usage and that is why the first thing that needs to be done is to encourage our own people to consume locally made software produced by Nigerians, so that by the time we perfect those software products produced by Nigerians, we can now start looking at exporting to other countries.
The issue of capital flight is due to the level of corruption in the system; that is why we have this huge capital flight. A Nigerian will want by all means to buy imported goods rather than locally made goods and that’s why we have this heavy challenge in terms of unemployment. We have a situation where our graduates can hardly find work after having spent close to 16 years of studies at the university and being certified out of schools; this is the problem and ISPON is ready to continue the advocacy and the battle to ensure that in this country we recognize that there are Nigerians who are capable of doing software that our people should use rather than paying huge scarce resources in terms of dollars to import software.
Since you assumed office in 2015 as the President of ISPON, how successful can you say your advocacy for the adoption of local solution has been so far?
Well, we are recording successes. As a matter of fact, recently I got a letter, stopping one of the MDAs [ministries, departments and agencies] from importing software that we know we have alternative for in Nigeria. That letter came after we complained to NITDA [National Information Technology Development Agency] and they followed up to make sure that the MDA put a hold on the process, because Nigerians say “we have it and they cannot import it”.
That is a success story. When we saw it, we followed up and for us to be able to get NITDA to put a stop to it will tell you what we are doing in terms of local content advocacy. Also, it is left to us to invite our youths to get into the system and start churning out products because we are here to ensure that our products produced in Nigeria must be recognized first before other products.

James Emadoye: ISPON’s recipe on saving Nigeria
Each year, thousands of computer science graduates are being churned out, what is the institute doing to make sure these ones meet world class standard?
ISPON is doing a lot in that respect. We have relationship with NACOSS (National Association of Computer Science Students) where we discuss with them. Sometimes, we even go to their universities to give them industrial training and experience; to tell them what is expected of them in the industry. Not only that, we have some number of students who are doing industrial attachments in our member companies, that way they know what is expected and when they go back to school, they would continue to do that.
And of course we are also trying to work with NUC (National Universities Commission) in the area of updating the computer science program in the universities so that they are tailored made to what is expected in the industry. So a lot of activities and departments are created for them, for example , we have the Chairman of the Education Committee and there are a lot of things we are doing to make sure the computer science students are relevant when they graduate.
How do you think the government can help to create an enabling environment for local content /solution?
The truth of the matter is that the government doesn’t have a choice, they just have to create that enabling environment and I must say that the current government has taken some initiatives towards that. First of all, there is the NITDA which is supposed to regulate the industry. Secondly, the very recent executive order, No 3, signed by the Vice president or the President of the Federation is part of that enabling environment that we have been advocating for. With that executive order, it is now clear that no MDAs or government parastatals will go out to purchase software from a foreign land when the software is available locally. So that enabling environment is being created. It is now left for us in the industry to ensure that the MDAs comply. And that’s why I said earlier that we were able to stop an MDA through NITDA from acquiring foreign financial software when we know there’s a locally available alternative.
“You want to do National population census and you are using foreigners when you have thousands and thousands of capable people who can do it locally? It’s not done and it should not be done and I do believe that Nigerians and the government of the day will listen and ensure that it doesn’t happen”.
As the umbrella body for software manufacturers in the country, how secured can you say locally manufactured solutions are vis-a-vis best practices?
When you talk about security, local solution, there is really no serious difference between local solutions and any other solutions anywhere. Software only has one language; whether you are developing in India, Nigeria or USA, you are using similar languages and tools. For example, when you talk about financial system, accounting ends with the principle of double entry and so whatever you are developing anywhere in the world, you must understand that this is financial system and there is something called double entry.
Between two parts of the page: calculated molecules:
C25H27Cl2FeN2STe as an isolated structure, computed with ωB97M-V/def2-TZVPD.

Structure (XYZ):
```
59
Properties=species:S:1:pos:R:3:forces:R:3
Fe 0.4238 1.3282 0.5700 0.17 -0.40 0.20
S 3.1775 2.2232 4.0127 -0.04 0.02 0.04
C 1.6652 2.8635 4.4964 0.05 -0.02 -0.01
C 0.7230 2.7347 3.5195 0.04 0.07 0.00
C 1.2000 2.1145 2.3240 -0.06 0.01 -0.04
C 2.5253 1.7777 2.4783 -0.02 -0.09 -0.06
C 3.2873 1.0837 1.4368 -0.04 0.09 0.10
C 4.6597 0.8632 1.4589 0.10 -0.03 -0.04
C 5.2558 0.2472 0.3716 -0.03 0.03 0.04
C 4.4805 -0.1203 -0.7191 -0.04 0.01 0.01
C 3.1195 0.1293 -0.6678 0.03 -0.04 -0.05
N 2.5425 0.6901 0.3916 -0.07 -0.01 0.07
H 1.5531 3.3028 5.4757 0.01 -0.01 -0.01
H -0.2920 3.0869 3.6518 0.00 0.00 0.00
H 5.2486 1.1866 2.3070 -0.01 0.00 0.00
H 6.3239 0.0715 0.3681 0.00 0.00 0.00
H 4.9147 -0.5806 -1.5948 0.00 0.00 0.00
H 2.4594 -0.1084 -1.4963 0.00 0.01 0.01
C 1.5488 3.6432 -1.2689 0.07 -0.01 0.01
C 1.0236 2.4606 -2.0211 0.11 -0.07 -0.15
C 1.1198 2.1836 -3.3633 0.03 0.13 0.02
C 0.4621 0.9434 -3.5761 -0.04 -0.10 0.01
C 0.0038 0.5184 -2.3516 0.05 -0.03 -0.09
C -0.7325 -0.7323 -2.0120 -0.07 -0.03 -0.07
N 0.3477 1.4367 -1.3902 -0.25 0.29 0.07
H 2.4022 4.0770 -1.7915 -0.02 -0.01 -0.02
H 1.8974 3.3715 -0.2656 -0.01 0.01 0.00
H 0.8007 4.4289 -1.1452 -0.02 0.00 0.00
H 1.6009 2.8056 -4.1033 0.00 -0.01 0.00
H 0.3352 0.4194 -4.5117 0.00 0.01 0.00
H -0.8198 -1.3673 -2.8948 -0.02 0.02 0.02
H -1.7438 -0.5383 -1.6417 0.03 0.02 0.00
H -0.2156 -1.3095 -1.2438 0.03 -0.07 0.07
C -3.6289 -5.1659 -1.3052 0.00 0.01 -0.02
C -2.9384 -4.0944 -0.5067 0.02 0.04 0.03
C -3.5719 -2.8935 -0.2132 0.00 -0.02 0.00
C -2.9418 -1.8924 0.5169 -0.11 0.08 -0.02
C -3.6550 -0.5939 0.7826 0.04 0.04 -0.03
C -1.6392 -2.1095 0.9654 0.05 0.03 0.13
Te -0.6911 -0.5936 2.1059 0.06 0.20 -0.25
C -0.9741 -3.3020 0.6861 0.10 -0.07 -0.04
C 0.4399 -3.5776 1.1299 0.02 0.02 0.00
C -1.6395 -4.2765 -0.0502 -0.03 0.02 -0.03
H -4.6192 -4.8432 -1.6245 0.00 0.00 0.01
H -3.7445 -6.0798 -0.7201 0.00 0.00 0.01
H -3.0533 -5.4193 -2.1971 0.00 0.00 0.01
H -4.5824 -2.7241 -0.5695 0.00 0.00 0.00
H -4.6392 -0.5854 0.3168 -0.01 -0.01 -0.01
H -3.0864 0.2534 0.3811 -0.05 -0.07 0.02
H -3.7892 -0.4197 1.8541 0.01 -0.02 -0.01
H 0.9811 -2.6688 1.4018 -0.02 -0.03 -0.03
H 1.0023 -4.0622 0.3310 -0.01 -0.02 0.01
H 0.4554 -4.2419 1.9968 -0.01 0.02 0.01
H -1.1190 -5.2010 -0.2808 0.00 0.00 0.00
Cl -1.2736 3.7177 0.8016 -0.05 0.06 0.17
C -2.8785 3.9540 0.0816 0.02 -0.04 -0.06
Cl -3.1791 2.8233 -1.2336 -0.01 -0.04 -0.05
H -2.9154 4.9625 -0.3117 -0.01 0.00 0.00
H -3.6176 3.7989 0.8575 -0.01 0.00 0.00
```
Positions in Å, forces in eV/Å.

## Properties
HOMO (spin up / spin down)	-0.2516 / -0.2509	Ha
largest force on an atom	0.5	eV/A
Kohn-Sham gap (spin up / spin down)	7.15 / 4.75	eV
M	641.9	g mol⁻¹
2S+1	6
relative energy (zero: lowest compared OMol25 entry of this formula, charge and spin)	0.00	kJ/mol
energy	-3928.6270	a.u.
By the way, when you talk about security, it has been demonstrated that Nigerians have the capacity to develop world-class software. Take the Treasury Single Account (TSA) for instance, you must have heard of how it is developed in Nigeria by Nigerians. The complaint wasn’t that it wasn’t secured and working well, it is still working and still doing what it’s supposed to do for this country. That is to tell you that we don’t have issues with security. TSA as a tool has reduced corruption and wastage in the Nigerian government spending .
The same security challenges that you will have software-wise in Nigeria is the same you will have in the US or India, so we are faced with the same thing because we are using the same tools and as such it should not be a case to say the software security developed in India or USA is more secured than the one developed in Nigeria. As a matter of fact, I have not heard that security is a challenge to any software developed in Nigeria. And today, we are all developing and working in the cloud and it’s the same thing everywhere. So security is not a unique Nigerian challenge but it’s a global challenge and all professionals worldwide are always working to ensure that systems are secure and people are able to use them without much attack.
“The same security challenges that you will have software-wise in Nigeria is the same you will have in the US or India, so we are faced with the same thing because we are using the same tools and as such
Programmers and developers are becoming popular, with a lot of Nigerian developers creating some fantastic software in the country and overseas. As the president of an organization that caters for this set of people, can you authoritatively give an account or database of competent software developers/development firms in Nigeria?
Of course they are many, but it would not be good to start mentioning names because it will amount to advertising. But I can assure you that we are currently working on a list which shall be submitted to NITDA and which shall also be submitted to the office of the President and Vice President very soon. The list is going to show the companies and the type of software they have, so we are going to submit that soon. Thankfully NITDA has requested for this list and we are almost through with the compilation. We are also trying to get anybody who is writing software and wants to be patronized to come to ISPON to enlist and register the software they are producing. So there are lists of companies and we shall soon send it out.
In a place like Yaba, a lot of startups are creating some great software apps, What is ISPON doing to protect these green horns from people such as venture capitalists et al who may want to take undue advantage of them?
I must tell you that the young men in Yaba have their ideas and we have invited them to join the fold, so that we can provide for them, nurture them, guide and integrate them into established firms. The truth of the matter is that we need to change our software companies to become large software group, but most of these young ones are still very hot and have their own ideas, so you must give them time to make their mistakes.
When you tell them anything now they will think you are the one trying to take undue advantage of them, but we do tell them this is not the way to grow and we give them time. However, we are continuously doing our work to ensure that we bring them into the fold and properly nurture and integrate them into the system.
“By the way, when you talk about security, it has been demonstrated that Nigerians have the capacity to develop world-class software. Take the Treasury Single Account (TSA) for instance, it is developed in Nigeria by Nigerians”.
Nigeria is the biggest market in Africa and should be playing a dominant role in other African countries. We have noticed that most Nigerian software firms have been expanding to other African countries, what is the market reaction and perception of our solutions as a country?
Well, it is a matter of product. Once you have good products at home, then your products will be well accepted outside. Mark my words; you must have a good product at home. The Chinese must have been consuming their Chinese food before they started exporting it everywhere in the world, so when you have a good product at home and you have your home base consuming such products then it will be acceptable outside. You cannot develop a product which your home base has not consumed and you want to move out. For example, Dangote is supplying cement in Nigeria and when he moves to Ghana, of course Nigerians are already using the cement. He couldn’t have manufactured the cement in Nigeria, without Nigerians consuming it and he wants to sell it in Ghana, of course it will be difficult for him. Same thing with software, once you are able to produce a package and it is being consumed locally and people enjoy the products locally and are giving testimony of the reliability of the products ,then you are able to move out and be accepted.
For the companies that have expanded to other countries, it’s because they have been able to make some impact in Nigeria; it becomes easy for them to be accepted outside. Not only that, you must know how companies spread out. When you say a company is expanding outside of the Nigerian shores, if a company is serving its product for an organization in Nigeria and that organization has a branch in Kenya, it becomes easy for that company to go to Kenya and start serving that organization and through that organization start serving others. So it depends, most of the companies that have spread out it’s because they have been able to deliver locally before spreading out. You don’t spread out when you have not delivered locally and because you have been able to deliver locally, your acceptance with perception outside is dependent on your acceptance in-country. The good thing today when it comes to software is that, unlike before when you have to move out with a lot of offices, staff; you can actually serve; provide your services, software-wise to the world without leaving your base.
Can software development be a good way to change the country’s narrative from a mono product, crude oil exporter to that of ICT solution provider; and with advancement in technology, a firm can service different countries from its Nigerian location?
One good thing about software and why we have always said it is one of the key areas that government should look at when moving out of the current recession is that it’s borderless. You can work as a software person in Nigeria for someone in the US, so you don’t need visa to go to the US. You can work for someone in India, England; you can produce software in Nigeria, even in your village as long as you have internet and power. With those two key infrastructures; broadband and power, you can serve the world from any village in Nigeria. That makes software a key thing that government must recognize and try to ensure that it is nurtured amongst Nigerian youths.
The theme for this 2015 /2019 administration is ‘ISPON brand Software Nigeria,’ have you been able to achieve this, especially in the area of piracy?
The truth of the matter is there is piracy, but in most of the serious software, piracy is not easy. This is not Nollyhood where you can just duplicate a cassette and you start using it. There are programmers who may work with you and who will want to steal your products and redesign for their own needs, but even at that it’s very difficult. Because software is not a buying and selling thing, it requires a lot of knowledge and input, it requires a lot of technical knowhow, when you talk about serious packages being developed. So yes, there is piracy, but it’s really not as pronounced at it seems. You will be talking of piracy more when you are talking about general purpose software apps like word processing and the rest but when you talk about serious application packages, the level of piracy is very minimal.
Most robust financial software are a bit complicated. How user friendly can you say locally made software are and what’s the after-sales support in the local software ecosystem?
The truth is that there’s no difference between locally made software and foreign software, they are basically the same thing, and they do the same thing. The only difference I can tell you is that locally made software has immediate support available locally while foreign made software don’t. If you do a research on their implementation nationwide, you will find out that most of them are not implemented up to 20 %. You will find out that whereas they have invested N200 million, N300 million on that software, the utilization is not up to 10% to 20% in most cases because they often run into problems of implementation. And when you run into that problem and when you bring in an expert from overseas and he is collecting USD1000 per hour in Nigeria for 2 months you will know where they will put a limit. So that is a major difference! But, locally made software are supported locally, and the people who designed the software are here, the codes are with us here so we can change and tweak it; we can make it look exactly how you want it which are the advantages of locally made software. In a nutshell, we can say that locally made and developed software take cognizance of the Nigerian environment and also tailored to meet an organization’s need. Talking about user friendly, of course they are user friendly, because if it’s not, nobody will be able to use it. I mean we started designing software with tech screen from tech screen to windows and to graphic, so they are all user friendly.
You were once quoted to have said “foreign software products are threats to the security of the country.” Could you elaborate on that ?
Well, first of all, imagine that Nigeria put TSA for example, in the hands of a foreign software company that means that the foreign company can deal with Nigeria at any time. The codes they know it, the database they have it, and so they are a threat. Imagine that Nigeria puts the whole of its budget in the hands of a foreign software company that means that that foreign country can deal with Nigeria at any time. Information is power, when you put the whole of your life details in the hands of someone else, then you are in trouble and not only that they can just put a code and hold you to ransom, so foreign software remains a threat. It is an area we ought to open to only our people and there are some areas that we should come in and not allow foreigners to go into; one of those areas is software.
Why would you put your national database in the hands of foreigners, they wouldn’t let you get close to that in their country; they will not. So Nigeria must rethink what they are doing. For example, you want to do national population census and you are using foreigners when you have thousands and thousands of capable people who can do it locally? It’s not done and it should not be done and I do believe that Nigerians and the government of the day will listen and ensure that it doesn’t happen.